There is a growing understanding of how the environment affects the health of individuals and communities.

Environmental causes of kidney disease: Exposure to human-made and naturally occurring toxins in the air, water, and soil can lead to the accumulation of toxins in organs, and contribute to diseases like hypertension, diabetes and kidney disease.

People may also experience adverse health issues due to transient events such as natural disasters – floods, storms, earthquakes, and extreme cold and hot conditions.

These records of crystals were left in the entry by mistake >
Structure and simulated X-ray powder pattern of CrCu2 (a cell relaxed with PBE; copper Kα).
Kinematic intensities with the Lorentz-polarization factor, no thermal factor.

```
6
Lattice="4.2540 0.0000 0.0000 -2.1270 3.6840 0.0000 0.0000 0.0000 5.0798" Properties=species:S:1:pos:R:3 pbc="T T T"
Cr 0.0000 2.4560 1.2699
Cr 2.1270 1.2280 3.8098
Cu 0.0000 0.0000 0.0000
Cu 0.0000 0.0000 2.5399
Cu 0.0000 2.4560 3.8098
Cu 2.1270 1.2280 1.2699
```

The 8 most intense peaks (2θ from 5° to 70°), low angle first:
2θ/deg	I_rel
24.16	1
29.96	2
35.34	4
42.50	100
43.27	88
52.87	1
56.43	6
62.26	27

Structure and simulated X-ray powder pattern of ScTaNi6 (a cell relaxed with PBE; copper Kα).
Kinematic intensities with the Lorentz-polarization factor, no thermal factor.

```
32
Lattice="3.6880 -5.2166 0.0000 3.6880 5.2166 0.0000 0.0000 0.0000 10.4447" Properties=species:S:1:pos:R:3 pbc="T T T"
Sc 0.0000 0.0000 2.5907
Sc 0.0000 0.0000 7.8540
Sc 3.6880 2.6168 0.0000
Sc 3.6880 -2.6168 0.0000
Ta 3.6880 2.6195 5.2223
Ta 3.6880 0.0000 2.5712
Ta 3.6880 0.0000 7.8734
Ta 3.6880 -2.6195 5.2223
Ni 0.0000 0.0000 0.0000
Ni 0.0000 0.0000 5.2223
Ni 1.8707 1.3120 3.9497
Ni 1.8707 1.3120 6.4949
Ni 1.8732 1.2978 1.3381
Ni 1.8732 1.2978 9.1066
Ni 3.6880 2.5846 2.6639
Ni 3.6880 2.5846 7.7808
Ni 1.8732 -1.2978 1.3381
Ni 1.8732 -1.2978 9.1066
Ni 1.8707 -1.3120 3.9497
Ni 1.8707 -1.3120 6.4949
Ni 3.6880 0.0000 0.0000
Ni 3.6880 0.0000 5.2223
Ni 5.5054 1.3120 3.9497
Ni 5.5054 1.3120 6.4949
Ni 5.5029 1.2978 1.3381
Ni 5.5029 1.2978 9.1066
Ni 3.6880 -2.5846 2.6639
Ni 3.6880 -2.5846 7.7808
Ni 5.5029 -1.2978 1.3381
Ni 5.5029 -1.2978 9.1066
Ni 5.5054 -1.3120 3.9497
Ni 5.5054 -1.3120 6.4949
```

The 12 most intense peaks (2θ from 5° to 70°), low angle first:
2θ/deg	I_rel
8.47	14
14.71	9
19.02	5
22.53	6
24.12	8
25.60	4
30.90	4
34.37	6
42.43	100
49.40	47
55.70	3
61.56	3

~~~~~

V2Cd3O8: simulated powder diffraction line list (Cu Kα, 1.54184 Å), based on the PBE+U geometry in Alexandria.
Kinematic intensities with the Lorentz-polarization factor, no thermal factor.

Largest 8 diffraction maxima, in order of rising 2θ, 2θ from 10° to 90°:
2θ/deg, intensity, h k l
12.62, 27, 1 0 0
17.69, 31, 0 0 2
18.50, 43, 0 1 1
31.12, 71, 2 0 2
31.38, 96, 0 1 3
31.60, 100, 2 1 1
32.80, 42, 0 2 0
45.84, 43, 2 2 2

Atomic structure:
Cell lengths 7.0169, 5.4615, 10.0249 Å; angles 90.00, 90.00, 90.00 degrees
Fractional positions:
V  0.0000  0.2276  0.0000
V  0.0000  0.7724  0.5000
V  0.5000  0.2487  0.3558
V  0.5000  0.7513  0.8558
Cd  0.2415  0.2618  0.6807
Cd  0.2415  0.7382  0.1807
Cd  0.5000  0.2466  0.0311
Cd  0.5000  0.7534  0.5311
Cd  0.7585  0.2618  0.6807
Cd  0.7585  0.7382  0.1807
O  0.0000  0.2140  0.8260
O  0.0000  0.4739  0.5569
O  0.0000  0.5261  0.0569
O  0.0000  0.7860  0.3260
O  0.2102  0.0799  0.0540
O  0.2102  0.9201  0.5540
O  0.3094  0.3792  0.2814
O  0.3094  0.6208  0.7814
O  0.5000  0.0746  0.8156
O  0.5000  0.3421  0.5324
O  0.5000  0.6579  0.0324
O  0.5000  0.9254  0.3156

People who have kidney disease are potentially at risk of being affected by environmental exposures.


Particulate matter (PM) an air pollutant that is a complex mixture of small particles and liquid droplets arising from the combustion of fossil fuels and biomass, has come into focus for its adverse effects.

Major exposure to air pollutants occurs via gas emissions from an increasing number of vehicles on roads, industrial gases, and construction-related pollution.

Air pollutants are associated with an increased risk of specific types of kidney disease.

Short-term exposure during wildfires and burning of agricultural waste is associated with a 5% increased risk of all causes and cardiovascular mortality among patients receiving maintenance hemodialysis.


Water contamination is a major source of spreading diseases. Pathogens – disease-causing germs and microbes contaminate water bodies. Nowadays, pesticides, a wide range of heavy metals, industrial chemicals and hydrocarbons, and perfluorinated compounds are common water contaminants.

Human exposure to these agents occurs through drinking water, consumption of fish or prawns living in the water, or through skin contact with the water.

Metals Exposure

Metals, including arsenic, cadmium, lead, mercury, and uranium, are among the most extensively studied waterborne chemicals that are harmful to kidneys.

Arsenic is found in different regions of the world – particularly in groundwater. It is a naturally occurring metalloid. Metal smelting and mining introduce arsenic into water bodies including groundwater.

When it comes to contamination of groundwater in India – Uttar Pradesh, Bihar, Jharkhand, West Bengal, Chhattisgarh, Manipur, and Assam are reported to be the most affected.

Long-term exposure to arsenic is causally related to increased risks of skin, lung, bladder, and kidney cancers.

According to some studies, drinking water with high levels of arsenic leads to an increased incidence of kidney disease, its progression, and an increased risk of death.

Exposure to pesticides occurs through several routes, including consumption of contaminated water, fruits, and vegetables. Farmers or agricultural workers are at increased risk of exposure

The text is interrupted by records of crystals =
(1)
Theoretical PXRD pattern
Compound: Au4I3Cl
Radiation: copper Kα
Structure: a structure optimized by DFT (GGA-PBE)

Atomic structure:
```
16
Lattice="6.328 0.000 0.000 0.000 6.573 0.000 0.000 0.000 13.538" Properties=species:S:1:pos:R:3 pbc="T T T"
Au 0.000 1.543 0.000
Au 0.000 5.030 0.000
Au 1.575 0.000 6.616
Au 1.589 3.287 6.616
Au 3.164 1.744 0.000
Au 3.164 4.829 0.000
Au 4.739 3.287 6.616
Au 4.754 0.000 6.616
I 0.000 0.000 8.723
I 0.000 3.287 4.530
I 0.000 3.287 11.620
I 3.164 0.000 4.530
I 3.164 0.000 11.620
I 3.164 3.287 8.723
Cl 0.000 0.000 1.810
Cl 3.164 3.287 1.810
```

Most intense lines, 2θ = 10–90°, by angle:
13.08 deg, intensity 100.0; 23.53 deg, intensity 39.7; 27.94 deg, intensity 52.8; 28.98 deg, intensity 41.0; 33.74 deg, intensity 22.2; 34.62 deg, intensity 36.4; 39.96 deg, intensity 17.3; 41.82 deg, intensity 43.9; 43.30 deg, intensity 18.9; 48.13 deg, intensity 44.3



(2)
Theoretical PXRD pattern
Compound: Li2MgScIn2Au2
Radiation: copper Kα
Structure: a structure optimized by DFT (GGA-PBE)

Atomic structure:
```
8
Lattice="4.706 0.000 0.000 0.000 4.706 0.000 0.000 0.000 6.632" Properties=species:S:1:pos:R:3 pbc="T T T"
Li 0.000 2.353 1.573
Li 2.353 0.000 5.059
Mg 2.353 2.353 0.000
Sc 0.000 0.000 3.316
In 0.000 0.000 0.000
In 2.353 2.353 3.316
Au 0.000 2.353 4.966
Au 2.353 0.000 1.667
```

Most intense lines, 2θ = 10–90°, by angle:
23.18 deg, intensity 82.8; 38.30 deg, intensity 100.0; 45.20 deg, intensity 29.3; 45.32 deg, intensity 14.6; 55.21 deg, intensity 11.4; 60.73 deg, intensity 18.4; 69.20 deg, intensity 23.0; 69.33 deg, intensity 11.4; 74.06 deg, intensity 10.4; 86.58 deg, intensity 9.7



(3)
Theoretical PXRD pattern
Compound: TbSnO3
Radiation: copper Kα
Structure: a structure optimized by DFT (GGA-PBE)

Atomic structure:
```
10
Lattice="-3.020 4.272 2.866 3.020 -4.272 2.866 3.020 4.272 -2.866" Properties=species:S:1:pos:R:3 pbc="T T T"
Tb 0.000 0.000 0.000
Tb 0.000 4.272 0.000
Sn 3.020 2.136 0.277
Sn 0.000 2.136 2.590
O 3.020 -2.136 1.841
O 1.510 5.122 -1.433
O 1.510 0.850 1.433
O -1.510 3.422 1.433
O 1.510 3.422 1.433
O 0.000 6.407 1.025
```

Most intense lines, 2θ = 10–90°, by angle:
29.58 deg, intensity 25.0; 29.99 deg, intensity 100.0; 31.20 deg, intensity 14.3; 42.32 deg, intensity 10.2; 43.53 deg, intensity 20.1; 52.48 deg, intensity 15.0; 52.75 deg, intensity 21.3; 53.50 deg, intensity 10.4; 54.78 deg, intensity 16.0; 85.18 deg, intensity 11.5



(4)
Theoretical PXRD pattern
Compound: Zn3W
Radiation: copper Kα
Structure: a structure optimized by DFT (GGA-PBE)

Atomic structure:
```
16
Lattice="5.454 0.000 0.000 0.000 9.731 0.000 0.000 0.000 4.479" Properties=species:S:1:pos:R:3 pbc="T T T"
Zn 0.000 0.866 1.120
Zn 0.000 8.865 3.359
Zn 1.340 1.703 3.359
Zn 1.340 8.028 1.120
Zn 1.387 3.163 1.120
Zn 1.387 6.569 3.359
Zn 2.727 3.999 3.359
Zn 2.727 5.732 1.120
Zn 4.067 3.163 1.120
Zn 4.067 6.569 3.359
Zn 4.114 1.703 3.359
Zn 4.114 8.028 1.120
W 0.000 4.183 3.359
W 0.000 5.549 1.120
W 2.727 0.683 1.120

Pesticides that have been linked to kidney disease in one or more studies include the herbicides butylate, glyphosate, metolachlor, paraquat, and, and the insecticides methyl parathion and endosulfan.

Environmental causes of Kidney Disease – Extreme weather

The effect of extreme heat and natural disasters (e.g., floods, earthquakes), is expected to increase in the coming years because of climate change.

Extreme heat causes hyperthermia and dehydration leads to an increased risk of kidney injury.

The risk of kidney injury increases by doing strenuous exercise in extremely hot conditions – which may lead to muscle damage. Another risk factor for kidney damage is the intake of sugar-sweetened beverages with high fructose.

Global warming and environmental pollution are the results of human behavior. They have huge consequences on our health – particularly our kidneys’ health. We are also witnessing increasing incidences of diabetes and hypertension due to environmental pollution which eventually will lead to kidney disease.

Bottom Line

We all need to be responsible in protecting our earth and the environment and contribute towards reducing pollution to protect our health and the health of our future generations.